[File]
********
[1]
24
Properties=species:S:1:pos:R:3 method="wB97M-V/def2-TZVPD" orbital_gap_ev=4.8893 homo_energy_ha=-0.386 e_lumo_ev=-5.607 spin_multiplicity=1 total_energy_ha=-536.8615
C 0.240 0.788 -1.686
O 0.387 0.767 -0.334
C 1.356 0.025 -2.484
H -0.682 0.411 -2.107
H 0.521 1.851 -2.004
H -0.552 0.760 0.096
H 1.359 -1.035 -2.231
H 1.322 0.221 -3.562
H 2.281 0.526 -2.163
H -2.815 -0.382 1.419
H -4.196 -0.588 2.006
O -3.434 -1.081 1.689
H 2.191 1.061 0.212
H 2.837 0.078 1.060
O 3.082 0.744 0.414
H 1.494 -1.006 3.157
H 1.005 -0.885 1.383
O 1.740 -0.788 2.258
H -1.601 -1.336 -1.019
H -1.987 1.726 1.320
O -1.865 1.179 0.531
H -1.899 -0.846 -0.499
H -0.626 -1.192 1.687
O -0.157 -0.998 0.857

***

[2]
16
Properties=species:S:1:pos:R:3 method="wB97M-V/def2-TZVPD" orbital_gap_ev=12.7114 homo_energy_ha=-0.425 e_lumo_ev=1.156 spin_multiplicity=1 smiles=CC.CC total_energy_ha=-159.5741
C -0.616 -0.224 -2.512
C -1.076 -0.997 -1.278
H -0.177 -0.875 -3.268
H -1.486 0.253 -2.958
H 0.204 0.415 -2.186
H -2.009 -1.551 -1.353
H -1.068 -0.414 -0.359
H -0.321 -1.762 -1.043
C 0.413 1.223 1.574
C 1.253 0.090 2.161
H 0.358 1.244 0.489
H -0.612 1.078 1.921
H 0.758 2.196 1.911
H 0.703 -0.463 2.919
H 2.189 0.447 2.582
H 1.486 -0.659 1.401

***

[3]
21
Properties=species:S:1:pos:R:3 method="wB97M-V/def2-TZVPD" orbital_gap_ev=10.7818 homo_energy_ha=-0.507 e_lumo_ev=-3.023 charge=+1 spin_multiplicity=1 total_energy_ha=-328.6445
C 1.184 0.634 -0.644
C 1.707 -0.738 -0.264
C 0.840 -1.550 0.717
C -1.652 -1.834 0.595
C -0.449 -2.111 0.135
N -0.272 0.844 -0.252
H 1.729 1.440 -0.162
H 1.209 0.914 -1.711
H 2.686 -0.645 0.157
H 1.809 -1.302 -1.194
H 1.422 -2.393 1.054
H 0.673 -0.971 1.601
H -1.838 -1.216 1.461
H -2.539 -2.242 0.145
H -0.259 -2.748 -0.700
H -0.559 1.831 -0.137
H -0.524 0.296 0.562
H -0.817 0.435 -1.006
H -2.214 3.830 -0.261
H -0.758 4.134 -0.069
O -1.377 3.393 -0.028

***

[4]
59
Properties=species:S:1:pos:R:3 method="wB97M-V/def2-TZVPD" orbital_gap_ev="5.3978 / 4.1395" homo_energy_ha="-0.507 / -0.494" e_lumo_ev="-8.405 / -9.298" charge=+2 spin_multiplicity=1 total_energy_ha=-1710.2385
Sn 0.400 -0.042 0.551
N -1.629 -1.385 -0.596
C -1.160 -2.506 -1.412
C -0.128 -3.312 -0.633
N 1.049 -2.503 -0.328
C 1.956 -3.159 0.613
C 3.056 -2.205 1.074
N 2.461 -1.043 1.733
H -2.138 -1.765 0.201
H -2.296 -0.838 -1.133
H -0.713 -2.107 -2.326
H -1.980 -3.173 -1.700
H 0.140 -4.210 -1.201
H -0.570 -3.633 0.312
H 1.553 -2.344 -1.199
H 2.414 -4.054 0.174
H 1.364 -3.461 1.480
H 3.641 -1.854 0.217
H 3.730 -2.753 1.742
H 3.194 -0.391 2.006
H 2.006 -1.334 2.600
C 2.656 -0.223 -3.780
C 2.469 0.097 -2.434
N 1.385 0.726 -2.031
C 0.441 1.022 -2.924
C 0.554 0.507 -4.224
N 1.662 -0.070 -4.630
C -0.645 1.905 -2.485
C -1.326 2.717 -3.392
C -2.310 3.585 -2.924
C -2.549 3.615 -1.546
C -1.794 2.792 -0.712
N -0.880 1.944 -1.181
C -1.925 2.799 0.748
C -2.702 3.754 1.521
N -3.069 3.338 2.691
C -2.604 2.332 3.315
C -1.283 1.783 2.848
N -1.204 1.985 1.431
C -3.045 4.460 -3.855
C -2.388 5.080 -4.919
C -3.121 5.911 -5.756
N -4.402 6.116 -5.568
C -5.052 5.540 -4.588
C -4.411 4.693 -3.692
H 3.585 -0.618 -4.166
H 3.208 -0.118 -1.676
H -0.262 0.534 -4.932
H -1.086 2.673 -4.441
H -3.290 4.282 -1.136
H -2.879 4.777 1.230
H -3.184 1.790 4.048
H -0.382 2.231 3.308
H -1.329 4.956 -5.084
H -2.668 6.430 -6.588
H -6.105 5.769 -4.503
H -4.971 4.217 -2.903
O -0.134 -0.207 2.747
O -1.323 0.409 3.119

***

[5]
12
Properties=species:S:1:pos:R:3 method="wB97M-V/def2-TZVPD" orbital_gap_ev=8.9575 homo_energy_ha=-0.355 e_lumo_ev=-0.692 spin_multiplicity=1 total_energy_ha=-406.9406
C -0.622 -1.302 -1.072
C 1.201 0.913 0.825
H -0.731 0.516 -1.620
H -0.502 -2.345 -1.315
H 0.210 -2.093 1.017
H 2.283 0.507 1.168
N -0.915 -0.482 -2.055
N -0.089 -1.081 0.117
N 0.115 0.216 0.499
N 0.764 2.036 1.118
N -0.659 2.129 0.760
N -1.054 0.986 0.559

***

[6]
20
********

[Wanted]
Please search the calculation results above for the word "wB97M-V" and retype each line that has it.

[Response]
Properties=species:S:1:pos:R:3 method="wB97M-V/def2-TZVPD" orbital_gap_ev=4.8893 homo_energy_ha=-0.386 e_lumo_ev=-5.607 spin_multiplicity=1 total_energy_ha=-536.8615
Properties=species:S:1:pos:R:3 method="wB97M-V/def2-TZVPD" orbital_gap_ev=12.7114 homo_energy_ha=-0.425 e_lumo_ev=1.156 spin_multiplicity=1 smiles=CC.CC total_energy_ha=-159.5741
Properties=species:S:1:pos:R:3 method="wB97M-V/def2-TZVPD" orbital_gap_ev=10.7818 homo_energy_ha=-0.507 e_lumo_ev=-3.023 charge=+1 spin_multiplicity=1 total_energy_ha=-328.6445
Properties=species:S:1:pos:R:3 method="wB97M-V/def2-TZVPD" orbital_gap_ev="5.3978 / 4.1395" homo_energy_ha="-0.507 / -0.494" e_lumo_ev="-8.405 / -9.298" charge=+2 spin_multiplicity=1 total_energy_ha=-1710.2385
Properties=species:S:1:pos:R:3 method="wB97M-V/def2-TZVPD" orbital_gap_ev=8.9575 homo_energy_ha=-0.355 e_lumo_ev=-0.692 spin_multiplicity=1 total_energy_ha=-406.9406